<<<
Material: PmSm2C
Method: DFT, PBE-GGA
State: optimized geometry

Cell and atoms, written as POSCAR:
```
PmSm2C
1.0
-1.820 2.609 5.843
1.820 -2.609 5.843
1.820 2.609 -5.843
Pm Sm C
1 2 1
Direct
0.000 0.000 0.000
0.352 0.352 0.000
0.648 0.648 0.000
0.500 0.000 0.500
```

Output
The density of states at the Fermi level comes out at 5.49 states/eV per cell. The polymorph energy (0 for the lowest one) comes out at 42 meV/atom. The space-group type is Immm, No. 71. As for the formation energy from the elements: -0.035 eV per atom.

~~~~~

GGA-PBE TeP2S2, optimized geometry; mass density = 4.3 g cm⁻³; energy above the most stable polymorph in this dataset = 0.2275 eV per atom; uncorrected formation energy = 0.8014 eV/atom; total DFT energy (no corrections) = -3.64 eV per atom; space group = P4/mmm
1.0
4.664 0.000 0.000
0.000 4.664 0.000
0.000 0.000 4.462
Te P S
1 2 2
direct
0.000 0.000 0.000
0.000 0.500 0.500
0.500 0.000 0.500
0.500 0.500 0.000
0.500 0.500 0.500

***

GGA-PBE NaInSn, optimized geometry; mass density = 5.0 g cm⁻³; energy of formation from the pure elements = -166 meV per atom; total DFT energy (no corrections) = -2.85 eV per atom; space group = P2_1/c
1.0
6.390 0.000 0.000
0.000 8.334 0.000
-4.834 0.000 6.401
Na In Sn
4 4 4
direct
0.200 0.205 0.096
0.200 0.295 0.596
0.800 0.705 0.404
0.800 0.795 0.904
0.269 0.587 0.950
0.269 0.913 0.450
0.731 0.087 0.550
0.731 0.413 0.050
0.257 0.578 0.320
0.257 0.922 0.820
0.743 0.078 0.180
0.743 0.422 0.680

***

GGA-PBE AcZn4Ir2, optimized geometry; mass density = 11.0 g cm⁻³; energy of formation from the pure elements = -336 meV per atom; energy above the most stable polymorph in this dataset = 0.0698 eV per atom; total DFT energy (no corrections) = -4.18 eV per atom; space group = Cmmm
1.0
2.125 -7.289 0.000
2.125 7.289 0.000
0.000 0.000 4.247
Ac Zn Ir
1 4 2
direct
0.000 0.000 0.000
0.194 0.806 0.500
0.313 0.687 0.000
0.687 0.313 0.000
0.806 0.194 0.500
0.414 0.586 0.500
0.586 0.414 0.500

***

GGA-PBE TlHgPd3, optimized geometry; mass density = 12.4 g cm⁻³; energy of formation from the pure elements = -157 meV per atom; energy above the most stable polymorph in this dataset = 0.0000 eV per atom; total DFT energy (no corrections) = -3.81 eV per atom; space group = Pmmn
1.0
4.492 0.000 0.000
0.000 5.668 0.000
0.000 0.000 7.626
Tl Hg Pd
2 2 6
direct
0.250 0.250 0.057
0.750 0.750 0.943
0.250 0.750 0.371
0.750 0.250 0.629
0.250 0.250 0.416
0.250 0.508 0.748
0.250 0.992 0.748
0.750 0.008 0.252
0.750 0.492 0.252
0.750 0.750 0.584

***

GGA-PBE Ba2ZrCuTe5, optimized geometry; mass density = 5.8 g cm⁻³; uncorrected formation energy = -1.0540 eV/atom; total DFT energy (no corrections) = -4.63 eV per atom; space group = Cmc2_1
1.0
2.187 -10.208 0.000
2.187 10.208 0.000
0.000 0.000 13.732
Ba Zr Cu Te
4 2 2 10
direct
0.120 0.880 0.500
0.122 0.878 0.871
0.878 0.122 0.371
0.880 0.120 0.000
0.190 0.810 0.192
0.810 0.190 0.692
0.421 0.579 0.610
0.579 0.421 0.110
0.050 0.950 0.207
0.298 0.702 0.837
0.300 0.700 0.545
0.337 0.663 0.186
0.495 0.505 0.454
0.505 0.495 0.954
0.663 0.337 0.686
0.700 0.300 0.045
0.702 0.298 0.337
0.950 0.050 0.707

***

GGA-PBE Sr2CoTcBi, optimized geometry; mass density = 5.1 g cm⁻³; energy of formation from the pure elements = 800 meV per atom; total DFT energy (no corrections) = -4.14 eV per atom; space group = P4/mmm
1.0
5.834 0.000 0.000
0.000 5.834 0.000
0.000 0.000 5.167
Sr Co Tc Bi
2 1 1 1
direct
0.000 0.500 0.000
0.500 0.000 0.000
0.000 0.000 0.500
0.500 0.500 0.000
0.500 0.500 0.500

***

GGA-PBE Mg2Tl5Pb4, optimized geometry; mass density = 9.0 g cm⁻³; energy of formation from the pure elements = 41 meV per atom; energy above the most stable polymorph in this dataset = 0.0322 eV per atom; total DFT energy (no corrections) = -2.67 eV per atom; space group = Immm
1.0
-1.701 4.884 10.536
1.701 -4.884 10.536
1.701 4.884 -10.536
Mg Tl Pb
2 5 4
direct
0.090 0.090 0.000
0.910 0.910 0.000
0.106 0.342 0.764
0.422 0.658 0.764
0.500 0.000 0.500
0.578 0.342 0.236
>>>

Count the lines further up that contain the word "and" and give the number alone.

1